Work order >
Please write out all of the lines below with every line break kept.
Excerpt >
********
Record 1
RuSe2O6: computed powder XRD pattern (Cu Kα X-rays), based on a DFT-relaxed cell (GGA-PBE, Alexandria).
Lines closer than 0.1° are merged.

Most intense lines, 10° ≤ 2θ ≤ 80°, low angle first:
hkl  2θ/deg  I_rel
0 0 3  13.44  60
1 0 1  21.40  76
1 0 4  27.70  95
0 1 5  30.91  100
1 1 0  36.64  55
1 1 9  56.24  41

```
data_RuSe2O6
_cell_length_a 4.9046
_cell_length_b 4.9046
_cell_length_c 19.7570
_cell_angle_alpha 90.00
_cell_angle_beta 90.00
_cell_angle_gamma 120.00
_symmetry_space_group_name_H-M 'R 3'
_symmetry_Int_Tables_number 146
_symmetry_space_group_name_Hall 'R 3'
loop_
_atom_site_label
_atom_site_fract_x
_atom_site_fract_y
_atom_site_fract_z
Ru1 0.0000 0.0000 0.0000
Se1 0.0000 0.0000 0.2378
Se2 0.0000 0.0000 0.4291
O1 0.0014 0.3461 0.7280
O2 0.0011 0.6557 0.6055
```

=====

Record 2
Si3RuO: computed powder XRD pattern (Cu Kα X-rays), based on a DFT-relaxed cell (GGA-PBE, Alexandria).
Lines closer than 0.1° are merged.

Most intense lines, 10° ≤ 2θ ≤ 80°, low angle first:
hkl  2θ/deg  I_rel
1 0 0  19.71  100
1 1 0  28.02  52
2 0 0  40.04  49
2 1 0  45.01  45
2 2 0  57.91  32
3 0 0  61.79  22

```
data_Si3RuO
_cell_length_a 4.5041
_cell_length_b 4.5041
_cell_length_c 4.5041
_cell_angle_alpha 90.00
_cell_angle_beta 90.00
_cell_angle_gamma 90.00
_symmetry_space_group_name_H-M 'P m -3 m'
_symmetry_Int_Tables_number 221
_symmetry_space_group_name_Hall '-P 4 2 3'
loop_
_atom_site_label
_atom_site_fract_x
_atom_site_fract_y
_atom_site_fract_z
Si1 0.0000 0.0000 0.5000
Ru1 0.0000 0.0000 0.0000
O1 0.5000 0.5000 0.5000
```

=====

Record 3
Sm2RuO6: computed powder XRD pattern (Cu Kα X-rays), based on a DFT-relaxed cell (GGA-PBE, Alexandria).
Lines closer than 0.1° are merged.

Most intense lines, 10° ≤ 2θ ≤ 80°, low angle first:
hkl  2θ/deg  I_rel
0 1 1  18.80  59
1 1 0  24.18  54
1 1 1  31.34  100
0 2 1  31.67  62
1 1 -3  33.98  89
0 0 4  48.93  66

```
data_Sm2RuO6
_cell_length_a 5.4426
_cell_length_b 6.1075
_cell_length_c 8.7776
_cell_angle_alpha 90.00
_cell_angle_beta 122.05
_cell_angle_gamma 90.00
_symmetry_space_group_name_H-M 'P 1 21/c 1'
_symmetry_Int_Tables_number 14
_symmetry_space_group_name_Hall '-P 2ybc'
loop_
_atom_site_label
_atom_site_fract_x
_atom_site_fract_y
_atom_site_fract_z
Sm1 0.2089 0.0970 0.2472
Ru1 0.5000 0.0000 0.0000
O1 0.1444 0.1558 0.9458
O2 0.2937 0.7239 0.9294
O3 0.4009 0.0514 0.7587
```


[1]
KNbNi: computed XRD peak list (a wavelength of 1.5418 Å), based on the GGA-PBE geometry in Alexandria.
Neutral-atom scattering factors, no anomalous dispersion.

Cell and atoms:
```
data_KNbNi
_chemical_formula_sum 'K2 Nb2 Ni2'
_cell_length_a 3.4270
_cell_length_b 3.7532
_cell_length_c 12.7619
_cell_angle_alpha 90.00
_cell_angle_beta 97.16
_cell_angle_gamma 90.00
_symmetry_space_group_name_H-M 'P 1 21/m 1'
_symmetry_Int_Tables_number 11
_symmetry_space_group_name_Hall '-P 2yb'
loop_
_atom_site_label
_atom_site_type_symbol
_atom_site_fract_x
_atom_site_fract_y
_atom_site_fract_z
K1 K 0.1785 0.2500 0.3330
Nb1 Nb 0.4375 0.2500 0.9033
Ni1 Ni 0.0626 0.2500 0.0654
```

The 10 most intense peaks (10 to 90 degrees two-theta), most intense first:
- hkl 1 1 -4, 43.80 deg, I = 100
- hkl 1 1 3, 43.49 deg, I = 99
- hkl 0 0 2, 13.99 deg, I = 90
- hkl 1 1 1, 37.01 deg, I = 78
- hkl 0 2 0, 48.53 deg, I = 75
- hkl 1 1 0, 35.64 deg, I = 71
- hkl 0 1 2, 27.63 deg, I = 67
- hkl 1 1 2, 39.70 deg, I = 63
- hkl 0 0 4, 28.19 deg, I = 62
- hkl 0 0 5, 35.45 deg, I = 61


[2]
Mg2Pb3: computed XRD peak list (a wavelength of 1.5418 Å), based on the GGA-PBE geometry in Alexandria.
Neutral-atom scattering factors, no anomalous dispersion.

Cell and atoms:
```
data_Mg2Pb3
_chemical_formula_sum 'Mg4 Pb6'
_cell_length_a 3.5373
_cell_length_b 3.5373
_cell_length_c 21.9578
_cell_angle_alpha 90.00
_cell_angle_beta 90.00
_cell_angle_gamma 90.00
_symmetry_space_group_name_H-M 'P 4/m m m'
_symmetry_Int_Tables_number 123
_symmetry_space_group_name_Hall '-P 4 2'
loop_
_atom_site_label
_atom_site_type_symbol
_atom_site_fract_x
********
Reply >
Record 1
RuSe2O6: computed powder XRD pattern (Cu Kα X-rays), based on a DFT-relaxed cell (GGA-PBE, Alexandria).
Lines closer than 0.1° are merged.

Most intense lines, 10° ≤ 2θ ≤ 80°, low angle first:
hkl  2θ/deg  I_rel
0 0 3  13.44  60
1 0 1  21.40  76
1 0 4  27.70  95
0 1 5  30.91  100
1 1 0  36.64  55
1 1 9  56.24  41

```
data_RuSe2O6
_cell_length_a 4.9046
_cell_length_b 4.9046
_cell_length_c 19.7570
_cell_angle_alpha 90.00
_cell_angle_beta 90.00
_cell_angle_gamma 120.00
_symmetry_space_group_name_H-M 'R 3'
_symmetry_Int_Tables_number 146
_symmetry_space_group_name_Hall 'R 3'
loop_
_atom_site_label
_atom_site_fract_x
_atom_site_fract_y
_atom_site_fract_z
Ru1 0.0000 0.0000 0.0000
Se1 0.0000 0.0000 0.2378
Se2 0.0000 0.0000 0.4291
O1 0.0014 0.3461 0.7280
O2 0.0011 0.6557 0.6055
```

=====

Record 2
Si3RuO: computed powder XRD pattern (Cu Kα X-rays), based on a DFT-relaxed cell (GGA-PBE, Alexandria).
Lines closer than 0.1° are merged.

Most intense lines, 10° ≤ 2θ ≤ 80°, low angle first:
hkl  2θ/deg  I_rel
1 0 0  19.71  100
1 1 0  28.02  52
2 0 0  40.04  49
2 1 0  45.01  45
2 2 0  57.91  32
3 0 0  61.79  22

```
data_Si3RuO
_cell_length_a 4.5041
_cell_length_b 4.5041
_cell_length_c 4.5041
_cell_angle_alpha 90.00
_cell_angle_beta 90.00
_cell_angle_gamma 90.00
_symmetry_space_group_name_H-M 'P m -3 m'
_symmetry_Int_Tables_number 221
_symmetry_space_group_name_Hall '-P 4 2 3'
loop_
_atom_site_label
_atom_site_fract_x
_atom_site_fract_y
_atom_site_fract_z
Si1 0.0000 0.0000 0.5000
Ru1 0.0000 0.0000 0.0000
O1 0.5000 0.5000 0.5000
```

=====

Record 3
Sm2RuO6: computed powder XRD pattern (Cu Kα X-rays), based on a DFT-relaxed cell (GGA-PBE, Alexandria).
Lines closer than 0.1° are merged.

Most intense lines, 10° ≤ 2θ ≤ 80°, low angle first:
hkl  2θ/deg  I_rel
0 1 1  18.80  59
1 1 0  24.18  54
1 1 1  31.34  100
0 2 1  31.67  62
1 1 -3  33.98  89
0 0 4  48.93  66

```
data_Sm2RuO6
_cell_length_a 5.4426
_cell_length_b 6.1075
_cell_length_c 8.7776
_cell_angle_alpha 90.00
_cell_angle_beta 122.05
_cell_angle_gamma 90.00
_symmetry_space_group_name_H-M 'P 1 21/c 1'
_symmetry_Int_Tables_number 14
_symmetry_space_group_name_Hall '-P 2ybc'
loop_
_atom_site_label
_atom_site_fract_x
_atom_site_fract_y
_atom_site_fract_z
Sm1 0.2089 0.0970 0.2472
Ru1 0.5000 0.0000 0.0000
O1 0.1444 0.1558 0.9458
O2 0.2937 0.7239 0.9294
O3 0.4009 0.0514 0.7587
```


[1]
KNbNi: computed XRD peak list (a wavelength of 1.5418 Å), based on the GGA-PBE geometry in Alexandria.
Neutral-atom scattering factors, no anomalous dispersion.

Cell and atoms:
```
data_KNbNi
_chemical_formula_sum 'K2 Nb2 Ni2'
_cell_length_a 3.4270
_cell_length_b 3.7532
_cell_length_c 12.7619
_cell_angle_alpha 90.00
_cell_angle_beta 97.16
_cell_angle_gamma 90.00
_symmetry_space_group_name_H-M 'P 1 21/m 1'
_symmetry_Int_Tables_number 11
_symmetry_space_group_name_Hall '-P 2yb'
loop_
_atom_site_label
_atom_site_type_symbol
_atom_site_fract_x
_atom_site_fract_y
_atom_site_fract_z
K1 K 0.1785 0.2500 0.3330
Nb1 Nb 0.4375 0.2500 0.9033
Ni1 Ni 0.0626 0.2500 0.0654
```

The 10 most intense peaks (10 to 90 degrees two-theta), most intense first:
- hkl 1 1 -4, 43.80 deg, I = 100
- hkl 1 1 3, 43.49 deg, I = 99
- hkl 0 0 2, 13.99 deg, I = 90
- hkl 1 1 1, 37.01 deg, I = 78
- hkl 0 2 0, 48.53 deg, I = 75
- hkl 1 1 0, 35.64 deg, I = 71
- hkl 0 1 2, 27.63 deg, I = 67
- hkl 1 1 2, 39.70 deg, I = 63
- hkl 0 0 4, 28.19 deg, I = 62
- hkl 0 0 5, 35.45 deg, I = 61


[2]
Mg2Pb3: computed XRD peak list (a wavelength of 1.5418 Å), based on the GGA-PBE geometry in Alexandria.
Neutral-atom scattering factors, no anomalous dispersion.

Cell and atoms:
```
data_Mg2Pb3
_chemical_formula_sum 'Mg4 Pb6'
_cell_length_a 3.5373
_cell_length_b 3.5373
_cell_length_c 21.9578
_cell_angle_alpha 90.00
_cell_angle_beta 90.00
_cell_angle_gamma 90.00
_symmetry_space_group_name_H-M 'P 4/m m m'
_symmetry_Int_Tables_number 123
_symmetry_space_group_name_Hall '-P 4 2'
loop_
_atom_site_label
_atom_site_type_symbol
_atom_site_fract_x